Grade 4 English Action Plan
Grade 4 English Action Plan
Grade 4 English Action Plan
Introduce themselves Orientation A.M. Devotion and Getting to know Appreciate the
to one another homeroom orientation each other existence of each
Getting to know Classroom rules other.
Familiarize each other Valuing People
themselves to the Classroom rules
classroom rules
P.M. Primary Pupils
Introduce themselves Getting to know House Rules Prayer (each student Listening to other
to one another each other will pray on their own people’s interest
No eating during every day before the and appreciating of
English time. class starts and at one’s individuality
Recognize the House Rules No cutting of the end of the class) is a way to
requirements for the classes grow/mature.
course English only Policy Introduce themselves (Valuing People)
Subject Orientation to one another by
List the subject criteria Subject describing their
Requirements selves by stating
Notebook (covered something weird
with English about them e.g., I
think I am a good
Spelling notebook
singer whenever I am
Index card with
picture in bathroom.
Seat works Reminders:
Tests Always bring your
Performance tasks notebook and
Assignments English book with
Projects you and covered
with plastic cover.
Subject Grade Don’t forget your
Criteria: ball pen.
Written work-30%
Performance Task- Submit your
50% assignment on
Quarterly Assessment time.
- 20%
(EOP) English
Only Policy.
Deductions shall
be given to
violators of this
Note details in literary Three Thoughts of Nouns Unlocking Practice Names are
text listened/read to my Heart Tell names of people, difficulties Exercise on important to
(p. 2) animals, places, The students will be Nouns distinguish identity.
Use context clues events and things. divided into 4 groups. (English and (Valuing People;
(definition) to find the Nouns (it will be their group Beyond 4 Stewardship)
meaning of unfamiliar (p. 9) They also name for the entire quarter) pp.8-9)
words feelings, thoughts and Definition of each
ideas. word will be posted
Read aloud grade- Examples: and each group will
level texts with - Books give the word that is
........
This record from Materials Project describes crystalline Te2Mo3WSe4S2 at its relaxed geometry. The functional is PBE-GGA.

Computed properties:
SG	No. 156
DFT total energy	-6.702	eV/atom
density	4.99	Mg/m³
DFT formation energy	-0.616	eV per atom

Unit cell a=3.3459 b=3.3459 c=38.0253 alpha=90.00 beta=90.00 gamma=120.00
With the nearest neighbours (Å) after each atom.
Fractional positions:
1 Te 0.0000 0.0000 0.0000  3 W 2.71
2 Te 0.0000 0.0000 0.1002  3 W 2.71
3 Mo 0.0000 0.0000 0.4865  6 Se 2.55
4 Mo 0.0000 0.0000 0.8622  6 S 2.46
5 Mo 0.3333 0.6667 0.6744  6 Se 2.55
6 W 0.3333 0.6667 0.0502  6 Te 2.71
7 Se 0.0000 0.0000 0.6305  3 Mo 2.55
8 Se 0.0000 0.0000 0.7182  3 Mo 2.55
9 Se 0.3333 0.6667 0.4427  3 Mo 2.55
10 Se 0.3333 0.6667 0.5303  3 Mo 2.55
11 S 0.3333 0.6667 0.8224  3 Mo 2.46
12 S 0.3333 0.6667 0.9021  3 Mo 2.46


This record from the Materials Project database describes a geometry-optimized Zr5Si3N structure. The functional is meta-GGA r2SCAN.

- volume (A^3/atom) = 16.94
- total magnetic moment (μB per cell) = 0.0
- crystal system = hexagonal
- energy of formation from the pure elements (eV/atom) = -1.181

abc: 7.9207 7.9207 5.6137
angles: 90.00 90.00 120.00
Space group P6_3/mcm (No. 193)
Inequivalent atoms, fractional coordinates:
Zr1 0.0000 0.2336 0.2500 x6
Zr2 0.3333 0.6667 0.0000 x4
Si1 0.0000 0.4054 0.7500 x6
N1 0.0000 0.0000 0.0000 x2


DFT (GGA+U) results for LiFeF4 after structural relaxation.

Summary:
* space-group type: No. 14
* ΔH_f (0 K): -2.771 eV per atom

Unit cell a=9.6683 b=5.1094 c=8.0267 alpha=51.72 beta=90.00 gamma=90.00
Last column: nearest neighbours and their distance in Å.
Element x y z (fractional)
Li1 0.8143 0.7777 0.7388  4 F 1.88-1.99
Li2 0.3143 0.2223 0.7612  4 F 1.88-1.99
Li3 0.6857 0.7777 0.2388  4 F 1.88-1.99
Li4 0.1857 0.2223 0.2612  4 F 1.88-1.99
Fe1 0.0000 0.5000 0.5000  6 F 1.87-2.04
Fe2 0.5000 0.0000 0.5000  6 F 1.87-2.06
Fe3 0.0000 0.0000 0.0000  6 F 1.87-2.06
Fe4 0.5000 0.5000 0.0000  6 F 1.87-2.04
F1 0.8833 0.1968 0.5112  1 Fe 1.87, 1 Li 1.88
F2 0.3819 0.2623 0.5264  1 Fe 1.87, 1 Li 1.88
F3 0.8977 0.4169 0.7517  1 Li 1.96, 2 Fe 2.04-2.06
F4 0.6162 0.8730 0.7515  1 Li 1.99, 2 Fe 2.03-2.04
F5 0.3977 0.5831 0.7483  1 Li 1.96, 2 Fe 2.04-2.06
F6 0.1162 0.1270 0.7485  1 Li 1.99, 2 Fe 2.03-2.04
F7 0.8819 0.7377 0.9736  1 Fe 1.87, 1 Li 1.88
F8 0.3833 0.8032 0.9888  1 Fe 1.87, 1 Li 1.88
F9 0.6167 0.1968 0.0112  1 Fe 1.87, 1 Li 1.88
F10 0.1181 0.2623 0.0264  1 Fe 1.87, 1 Li 1.88
F11 0.8838 0.8730 0.2515  1 Li 1.99, 2 Fe 2.03-2.04
F12 0.6023 0.4169 0.2517  1 Li 1.96, 2 Fe 2.04-2.06
F13 0.3838 0.1270 0.2485  1 Li 1.99, 2 Fe 2.03-2.04
F14 0.1023 0.5831 0.2483  1 Li 1.96, 2 Fe 2.04-2.06
F15 0.6181 0.7377 0.4736  1 Fe 1.87, 1 Li 1.88
F16 0.1167 0.8032 0.4888  1 Fe 1.87, 1 Li 1.88

DFT (GGA+U) results for Li2VSi6O15 after structural relaxation.

Summary:
* space-group type: No. 4
* ΔH_f (0 K): -3.020 eV per atom

Unit cell a=12.6877 b=6.8710 c=7.4463 alpha=69.25 beta=90.00 gamma=90.00
........
accuracy and proper - Chair being define. For the
expression - Pencil group to have an
additional point, they
Identify nouns must use the word in
a meaningful
Note details:
The students will
answer the
questions referring to
the story.
1. Who is speaking to
the poem?
2. what does the
heart says?
3. why does the poet
feel content?
Identifying Noun
Students will look
around the class
room. They will give
examples of name,
things, animals,
events and ideas that
they can find inside
the classroom.
Shared blog:
Read the short story,
Ten Suns (pp.14-15).
Answer the following:
1.Who are the
2. Where did the
story happen?
3.What was the
problem in the story?
4. What did you learn
about the story?
Analyze a narrative in Ten Suns Unlocking Assignment: Observe politeness
terms of its setting (pp. 14-15) difficulties 1. Write 5 pairs at all times.
Two truths and a lie: of synonyms.
2. Read: “A (Valuing People)
Use context clues Each group will have
(synonym) to find the a marker and paper. Mother’s
meaning of unfamiliar The teacher will say Garden” pp.
29-30 and be
words 3 statements
ready for
referring to the word
Infer feelings and and each group will recitation.
traits of characters state which are the
based on the story two statements that
heard (p. 17) define the words.
Each group who can
Read with accuracy identify the two truths
words, phrases, will have the points.
poems, and stories
with diphthongs and Note details:
silent letters. The students will
answer the
questions referring to
the story.
Week 2: July 29 – August 2, 2019
Read words, phrases, Long Vowel i Sound KINDS OF NOUN Use clear and Assignment:
poems, or stories with coherent sentence: Answer
Common and 1.Common noun
long vowel i sound each group will have Practice A and
Proper Noun -name general
set of words. They B on pages 25;
(p. 24) persons, places, things
Use clear and need to identify if it is and C on page
and ideas.
coherent sentences a common or proper 26
employing appropriate noun and they are
Anne will go to the
grammatical required to make
structures: sentences using the
-kinds of nouns words they have. The
2.Proper noun
(Common Noun and group with the
-name specific
Proper Noun) highest number
persons, places, things
sentences will be the
and ideas.
-capitalized form
Anne will go to Paris.
Read words, phrases, Long vowel a sound Long vowel a sound Speech drill: Quiz Honesty is the best
poems, or stories with Students will be policy. (Integrity)
long vowel a sound Review Quiz called to read the
words with vowel a
Review concepts Quiz sound to assess the
before quiz background of the
Nouns student in terms of
Assess one’s reading.
knowledge on lessons
discussed Review
Week 3: August 5 – 9, 2019
Analyze a narrative in A Mother’s Garden Countable Nouns Analyzing the Assignment: Observe politeness
terms of its characters (p. 29) -nouns that can be characters: each 1. List 5 at all times.
counted. They can be group will pick the countable (Valuing People)
Note details by Kinds of Nouns singular or plural. character in the noun and 5
asking/answering (Countable and Examples: story. The students uncountable
questions about a Uncountable Noun) will describe and tell nouns.
- bottle-bottles
what did the
story/poem listened (p. 37) - city-cities 2. Write 5
particular character
to/read sentences
do in the story.
Quantifiers of Mass Uncountable Nouns using
Use clear and Noun -words that cannot be Note details by quantifiers of
coherent sentences counted. answering/asking noun.
employing appropriate Examples: questions:
grammatical - coffee 1. why was mother
structures: - water proud of her pond?
-kinds of nouns 2. how did the author
(Mass/Uncountable Quantifiers of Mass learn about plants?
Noun and Countable Noun 3. what names did
Noun) - A quantifier is a word the author give to her
or phrase which is
Use clear and used before a noun to Each student will find
coherent sentences indicate the amount or countable and
employing appropriate quantity. uncountable nouns in
grammatical the story and they
structures: Examples of will use it in their own
(Quantifiers of mass quantifiers of mass/ meaningful sentence.
noun) uncountable noun:
- much Book Activity: pp. 38
-a bit (of) – 39
- a large amount of
- all
- more/most
- less/least
- some
- a lot of
- plenty of
Identify and use Kinds of Noun Concrete Nouns B I N G O Assignment:
concrete nouns and (Concrete, Abstract -experienced with five List 5 concrete
abstract nouns and Collective senses. Nouns that noun, Abstract
Nouns (p. 52)) can be seen, heard, noun and
Use collective nouns smelled, tasted and collective noun
Compose clear and Examples: BINGO: each student
coherent sentences - bus will draw a 5x5 table,
using appropriate - flower like a BINGO card.
grammatical They will list down
structures: kinds of Abstract Nouns examples of
nouns (Concrete, -refer to ideas. concrete, abstract
Abstract and Opposite of concrete and collective noun.
Collective Noun) nouns. The twist of the game
Examples: is; the facilitator is
- love the one who will pick
- obedience the category inside a
box. If the teacher
Collective Nouns gets the category of
-groups of people, concrete noun, she
animals or things. will call a name of the
student from her
Examples: index card and give
- army of soldiers example of it. If the
flock of birds student has the same
example as what the
student have said,
they will mark it. The
first student who can
form a straight line is
the winner.
After the game, the
teacher will list all the
example words of the
winner and will give a
chance to other to
have additional point
by using the words in
a meaningful
Read words, phrases, Long Vowel o Long Vowel o Sound Speech drill: Quiz Honesty is the best Assignment:
poems, or stories with Sound Students will be policy.
long vowel o sound Quiz called to read the
Review words with vowel o (Integrity) Shared Blog:
Quiz sound to assess the
Read the story,
Review concepts background of the
“The Giants of
before quiz Kinds of Nouns student in terms of Easter Island” on
reading. pages 43-44 of
Assess one’s your book.
knowledge on lessons Review Answer the
discussed following
Quiz questions:
1. Why is Easter
Island a unique
2. How did the
population of the
island decrease?
Use context clues The Giants of Easter Unlocking difficulties: Infer feelings Appreciate the
(antonyms) to Island the teacher will give and traits. culture made by
determine the example word and Answer pp. our ancestors.
meaning of unfamiliar the students need to They spend their
words write at least 3 word Assignment: life to protect and
opposite to the given 1. Write 5 pairs take care of the
words. of antonyms history.
Write 2 – 3 sentences 2. Read: The (Valuing People)
about the characters (Un)Fortunate
Characters: each
in a literary text Postman pp.
group will represent
listened to or red 58-59 and be
one character in the
ready for a
story. They have to
Infer feelings and graded
write sentences
traits of characters recitation
about the character
based on the story
and what is her/his
contribution to the
story and present the
character in class.
Week 4: August 12- August 16, 2019
Use plural form of The (Un)Fortunate Singular The postman is Assignment: We are wonderful
regular nouns Postman pp. 58-59 -only one always the one 1. Write 3 and beautiful
sending the letters. It sentences creation of God.
Write a friendly letter Forming the Plural Plural is time for the using plural We are unique.
as a response to of Most Nouns -more than one postman to receive a nouns.
stories/poems read or (p. 70) letter. Students will 2. Answer (Stewardship)
listened to Rules in forming plural write a letter for the Book Activity
of nouns: postman. What do Letter C on
Analyze a narrative in 1. Most nouns form you want to say the page 71
terms of its theme their plural by adding s (un)fortunate
to their singular form. postman?
book-books Group their things:
friend-friends students in each
group must have at
2.Nouns that end in s, least have 5 – 10
ss, sh, ch, x, or z form things from their
their plural by adding bags. The teacher
es. will ask to group their
Examples: things into different
bus-buses number e.g, group
kiss-kisses your pencils into five.
sash-sashes Until we list the
church-churches things they have on
fox-foxes the board.
4.Other nouns
endingin f or fe form
their plural by
changing f or fe to v
and adding es.
5.Nouns ending in y
preceded by a vowel
usually form their
plural by adding s.
6.Nouns ending in y
preceded by a
consonant usually
form the plural by
changing y to i and
adding es.
9.Musical terms
ending in o usually
form their plural by
adding s.
Read words, phrases, Long Vowel e Irregular nouns Speech drill: Quiz In everything we
poems, or stories with -nouns that either Students will be do, we do it all for
Forming the Plural change or retain called to read the the glory of God.
Use plural form of of Irregular Nouns spellings to form their words with vowel e
irregular nouns plural. sound to assess the (Spiritual
background of the Discipline/
Irregular Nouns that student in terms of Stewardship)
change their spelling reading.
in the plural form
child children Board Race: the
foot feet board will be divided
goose geese into four. Each group
louse lice must have one
man men representative. The
teacher will say a
Irregular Nouns that word (singular noun)
retain their spelling and the student have
in the plural form to write down the
Bison plural form of it. Each
Deer team wins one point
Moose for each correct
Offspring word. Any words that
Tuna are unreadable or
misspelled are not
Irregular Nouns that counted.
are always plural in
Read words, phrases, Long Vowel u Long Vowel u sound Speech drill: Quiz Assignment:
poems, or stories with Sound Students will be Honesty is the best
Shared Blog:
long vowel u sound Quiz called to read the policy. (Integrity)
Review words with vowel u Read the story,
Review concepts Quiz sound to assess the Spider and His
before quiz background of the Precious Pot on
Forming Plural student in terms of page 159-161
Assess one’s reading.
knowledge on lessons
discussed Review
Use context clues Spider and His Time order Comprehension Book Activity: We cannot do all
(synonym) to find the Precious Pot -is the order in which questions: pp. 164-165 things by
meaning of unfamiliar page 159-161 events happen in time. ourselves; we need
1. What did the Sky
words Words such as first, the help of other
God give to Spider
next and last tell about people.
as his favorite among
Sequence at least 3 the order of events at all creatures? (Valuing People)
events using signal certain times. 2. Why did Spider
words keep wisdom in a
Sequence a story or 3. Was Spider
narrative successful in hiding it
on top of the tress?
4. What did Serpent
advise Spider?
5. What di Spider do
Define possessive Possessive Noun Possessive Noun Each student must Seatwork.
noun - shows ownership by have their partner. All
adding an apostrophe, of the students will
Compose clear and an "s" or both. get things inside their
coherent sentences bag. Each student
using appropriate Singular Possessive will make a sentence
grammatical Noun: using a possessive
structures: kinds of book's cover noun regards to the
noun (possessive teacher’s car things that their
noun) Chloe’s pet partner has.
Plural Possessive
babies' shoes
eggs’ color
lemons’ acidity
Use context clues I Got a Creature to Bring me: students Giving what we
(definition) to Answer My Slam will use dictionary for have and what we
determine the Book this activity. Teacher can do, is a great
meaning of unfamiliar (pp. 77 – 78) will define the word help to others.
words and the students (Stewardship)
need to find what
Express one’s ideas word is being define
and feelings clearly. with the given clue
(first, middle and last
Make inferences and letter)
draw conclusions
based on a literary
If you are the writer
of the story, how will
you end your story?
Week 7: September 2 – 6, 2019
Quiz Honesty is the best
Week 8: September 9 – 13, 2019
Compose clear and Group Activity The simple form and Group Activity Criteria: Whatever we do,
coherent sentences the s-form of verbs are whether we eat or
using appropriate Simple Present used to indicate the Write a short skit Coherence – 8 drink we do it for
grammatical Form of Verbs present time. about a student’s life. Use of the the glory of God.
structures: -present (Subject-verb present tense
tense of verbs agreement) – 15 (Spiritual
Creativity – 7 Discipline)
Total – 30 pts.
Use clear and Group The simple form and Practice Criteria: Whatever we do,
coherent sentences Performance the s-form of verbs are Group whether we eat or
using appropriate used to indicate the Performance Cooperation – drink we do it for
grammatical Simple Present present time. 10 the glory of God.
structures: -present Form of Verbs Perform the short skit Use of Present
tense of verbs (Subject-verb about a student’s life. Tense – 20 (Spiritual
agreement) Execution – 20 Discipline)
Gestures – 10
Behavior – 10
Total – 70 pts.
Observe politeness
at all times.
(Valuing People)
Observe politeness
Formal Theme Writing at all times.
Compose a text using the proper subject verb agreement. (Valuing People)
Week 9: September 16 – 21, 2019
Assess students
learning. Honesty is the best
policy. (Integrity)
Assess students
learning. Honesty is the best
policy. (Integrity)